8/28/13 – B

One good thing about this class is that we are the ONLY IVB class in Vistas, so that means we aren’t going to be trying to keep pace with another class. We can work at our OWN pace.

Today, we watched the trailer for The BucketList – you seemed really interested in this movie. I may have to go ahead and show this when we get to a stopping point.

Then, we talked about what we’d do if we only had 48 hours left to live – what would you regret if you found out the doctor was WRONG!?!

We watched and talked about the Buried Life on MTV and then created our OWN bucket list on www.bucketlist.org. Remember that this is not an account where I can access/change your username/password, so you’ll have to keep track of this. I’ll need ten significant items by next Friday. Make sure you follow me so that I can see your list. 🙂

WE looked at Death and the Devil Surprising Two Maidens today and answered the discussion questions in BB. You guys had some great thoughts and comments. Death and the Devil Surprising Two WomenYou all seemed to really understand the relevance of this topic and seemed eager to approach it.

Lastly, I gave you time to finish your Bucket List Prewriting. If you get stuck thinking of things for your Bucket List, go back to these questions and see if you can find items that can help you accomplish the goals in this pre-writing. You can do it either as a Word doc or just as a message.

8/27/13 – B

cc2Ahoy! Today, we started out with Creative Coloring and did a discussion board discussing group work. I LOVED my picture, which is currently in the hallway. 🙂creative coloring

After that, we did a show and tell of sorts with adjectives. WE each each chose two words (from a list) that describes us and we gave a short explanation of WHY we chose those words.

Lastly, we started working on the BucketList Prewriting. You can find this in BB in the Carpe Diem unit in the Bucketlist folder.

If you don’t finish the prewriting today, there will be some time tomorrow to finish it. 🙂


Hooray! Friday!

We started out today by watching the trailer for The Buried Life – Riley has the book in case you want to borrow ideas for your own BucketList.

Then, we used our obituaries and created a word cloud with Tagxedo.

**The article is interrupted by crystal structures**
********
{
  "formula": "GdTh2Cd",
  "functional": "PBE",
  "state": "optimized geometry",
  "m_tot_mub_per_cell": 7.384,
  "relative_energy_mev_per_atom": 0.0,
  "lattice_angstrom": [[5.008, 0.000, 0.000], [0.000, 4.871, 0.000], [0.000, 0.000, 4.871]],
  "species": ["Gd", "Th", "Th", "Cd"],
  "fractional_positions": [[0.500, 0.500, 0.500], [0.000, 0.000, 0.500], [0.000, 0.500, 0.000], [0.500, 0.000, 0.000]]
}
********

AHOY – Here are the step-by-step instructions.

  • Click create.
  • Click the little arrow next to fonts and click USE LOCAL FONTS
  • Click Load
  • Copy and paste your Obituary text
  • Hit submit

Then, make it pretty.

You can choose the theme – which is the colors.

Change the shape by clicking – SHAPE

Play with the options – make it pretty!

When you get it just like you like it, save it.

Save it as a 4 MP jpg.

Then, go to the Carpe Diem folder in LMS and download the diorama. Replace my word cloud with YOUR word cloud, answer the three questions, and change the color of the sides to match your word cloud. Drop this off in the drop box. I’ll print in color and make the foldable for you!

Then, you download the #Carpe Diem #YOLO item in LMS. Make sure you do this Firefox or Chrome – if you use IE, you can’t open the file. This is dealing with hash tags on Twitter. #cool

A hash tag is something that help search engines in Twitter and Instagram. All of the things in that file are tweets that I found that generally have #carpe_diem or #yolo. Click the little white arrow so you can select things.

Using your mouse, drag the tweets to the hashtag you think they belong to. If you think a tweet is YOLO, drag it #yolo line.

Data records from another source follow >
~~~
## B5C7 (PBE-GGA)

Data for an optimized crystal structure of B5C7.

Structure (extended XYZ):
```
12
Lattice="-2.8229 -1.7711 -3.2249 4.2462 1.5379 -1.2033 1.3289 -3.7108 2.0684" Properties=species:S:1:pos:R:3 pbc="T T T"
B 3.7541 -0.8629 -0.4874
B 1.5324 -2.2274 -1.1760
B 0.3736 -0.8541 -1.1705
B 3.4101 -3.0713 0.0835
B 0.8568 -4.3198 -0.5730
C 3.1039 0.6040 -0.7270
C 2.4860 -1.8005 0.0199
C -1.0000 -3.0498 -1.8843
C -1.6840 -1.6685 -2.0995
C 0.0916 -2.8115 -0.7936
C 2.7690 -3.9084 -2.2894
C 2.1721 -2.5351 -2.6179
```

- energy above the most stable polymorph in this dataset (meV/atom) = 152.6
- N(E_F) (states/eV/f.u.) = 1.94
- space group = No. 1
~~~

Save, and turn in.

The last thing we did was the blog post Carpe Diem Closure. Make sure you COPY your answer before you hit submit, otherwise, you run the risk of losing all that you have written.

Carpe Diem Closure

Today marks the end of carpe diem for us! For this wrap-up assignment, I want you to choose three of the following questions to answer. Make sure that you use complete sentences and explain yourself fully – remember GIGO!

There is no need to copy/paste the prompt in the comment box – just restate the question when you compose your answer.

Before you hit submit, make sure you copy (CTL+C) your answer in case the CAPTCHA tricks you.

  • What is the difference between Carpe Diem and YOLO?
  • Which one is most realistic?
  • Why does YOLO get a bad reputation?
  • Reflect upon the Post-It note from last week – is your post-it note Carpe Diem or YOLO?
  • What are your thoughts about carpe diem?
  • Is carpe diem a realistic way to live your lives? Why or why not?

As always, if I ask you to do something, I do it as well. Here are my three responses:

I think YOLO gets a bad reputation because most people use it to justify reckless actions that they might later regret. Carpe diem is more about living with no regrets. To me, YOLO is counterproductive to carpe diem, since most times people use #YOLO for something that will bring them shame and embarrassment tomorrow.

I think carpe diem is realistic to an extent. You can only seize so much in a day, and you need to expect that you will be around tomorrow. I don’t think wasting your entire paycheck in one night is representative of carpe diem, because you will end up suffering more in the long run. To me, carpe diem is more like the e-mail that we read in class – don’t save your perfume for special occasions – each day we are here is special!

My post-it note is definitely carpe diem rather than YOLO. I don’t want to do anything crazy, and while there are lots of things on my Bucket List that I’d like to accomplish before I die, I’d rather spend my time with family and friends rather than going out trying to drive motorcycles and dancing.

### Records of crystals, as found in the file
____________
# Tb6PrY2Ho3

A relaxed structure of Tb6PrY2Ho3 (GGA-PBE, Alexandria via LeMat-Bulk).

- formation enthalpy at 0 K (kJ/mol of formula units) = 20
- space-group type = C2/m, No. 12
- V (Å³ per cell) = 384.66

Lattice parameters (Å, degrees): 6.1731 6.1731 11.8291 94.96 94.96 119.96
Fractional positions:
Tb 0.0817 0.4152 0.2470
Tb 0.2512 0.2512 0.7529
Tb 0.4152 0.0817 0.2470
Tb 0.5848 0.9183 0.7530
Tb 0.7488 0.7488 0.2471
Tb 0.9183 0.5848 0.7530
Pr 0.5000 0.5000 0.5000
Y 0.1667 0.8333 0.5000
Y 0.8333 0.1667 0.5000
Ho 0.0000 0.0000 0.0000
Ho 0.3330 0.6670 0.0000
Ho 0.6670 0.3330 0.0000

***

# TbPr2Y2Ho2

A relaxed structure of TbPr2Y2Ho2 (GGA-PBE, Alexandria via LeMat-Bulk).

- formation enthalpy at 0 K (kJ/mol of formula units) = 57
- space-group type = C2/m, No. 12
- V (Å³ per cell) = 469.59

Lattice parameters (Å, degrees): 11.8153 3.5316 11.8849 90.00 108.75 90.00
Fractional positions:
Tb 0.0000 0.0000 0.0000
Tb 0.5000 0.5000 0.0000
Pr 0.1722 0.5000 0.5860
Pr 0.3278 0.0000 0.4140
Pr 0.6722 0.0000 0.5860
Pr 0.8278 0.5000 0.4140
Y 0.0484 0.5000 0.2695
Y 0.4516 0.0000 0.7305
Y 0.5484 0.0000 0.2695
Y 0.9516 0.5000 0.7305
Ho 0.2280 0.0000 0.8659
Ho 0.2720 0.5000 0.1341
Ho 0.7280 0.5000 0.8659
Ho 0.7720 0.0000 0.1341

***

| no. | DOS at the Fermi energy (states/eV per atom) |
| --- | --- |
| 1 | 1.2976 |
| 2 | 1.6815 |

----------

SmAl2CuAu4 | GGA-PBE | optimized geometry

Computed properties:
crystal system: trigonal
energy of formation from the pure elements: -489 meV per atom

Lattice parameters (Å, degrees): 9.1846 9.1846 9.1846 27.91 27.91 27.91
Sites, in units of the cell vectors:
Sm 0.0000 0.0000 0.0000
Al 0.2380 0.2380 0.2380
Al 0.7620 0.7620 0.7620
Cu 0.5000 0.5000 0.5000
Au 0.1325 0.1325 0.1325
Au 0.3982 0.3982 0.3982
Au 0.6018 0.6018 0.6018
Au 0.8675 0.8675 0.8675

Sm2Al4Cu3Au | GGA-PBE | optimized geometry

Computed properties:
crystal system: tetragonal
energy of formation from the pure elements: -493 meV per atom

Lattice parameters (Å, degrees): 4.2412 4.2412 10.2637 90.00 90.00 90.00
Sites, in units of the cell vectors:
Sm 0.0000 0.5000 0.2480
Sm 0.5000 0.0000 0.7520
Al 0.0000 0.0000 0.0000
Al 0.0000 0.5000 0.6377
Al 0.5000 0.0000 0.3623
Al 0.5000 0.5000 0.0000
Cu 0.0000 0.5000 0.8722
Cu 0.5000 0.0000 0.1278
Cu 0.5000 0.5000 0.5000
Au 0.0000 0.0000 0.5000

Computed magnetic moment, in the same sequence as the records: 0.0000; 0.0000 μB/atom.
Computed raw total energy, in the same sequence as the records: -33.32; -44.90 eV/f.u..

----------

1.
Here is an optimized crystal structure of TaAl2Cl from Alexandria. Energies are from PBEsol.

Cell lengths 4.6619, 4.6619, 4.6619 Å; angles 60.00, 60.00, 60.00 degrees
Closest atoms and distances in Å follow each position.
Positions (direct):
1 Ta 0.5000 0.5000 0.5000  8 Al 2.85
2 Al 0.2500 0.2500 0.2500  4 Ta 2.85, 4 Cl 2.85
3 Al 0.7500 0.7500 0.7500  4 Cl 2.85, 4 Ta 2.85
4 Cl 0.0000 0.0000 0.0000  8 Al 2.85

Results
____________


Today is a pretty easy day – we are creating our own Bucketlist. Remember last week, we created an account at BucketList? Well, we are using that site to create our OWN BucketList.

I’m giving you an option – you can just create your BucketList for 15 points, OR, you can earn up to 30 points if you create a digital poster/presentation. You can use the media of your choice:

The key here is that is s media file – hence the nugget for Media Literacy today. Just make sure that you drop the link or file off in the drop box.

You *have* to have your Obituary completed in order to do the activity tomorrow. Make sure it’s in!


Riley talked about a few things today – namely, grades and final exam exemptions.

If you are in 11th grade (Felipe, Selena, Matt), you will take your final exams in the following order:

Block 1 – June 4th

Block 2 – June 5th

Block 3 – June 6th

If you are in 12th grade, you will have to take your finals EARLY, so you will take your finals in this order:

Block 2 – June 3rd

Block 3 – June 3rd

Block 1 – June 4th

Regarding exemptions, this is NOT a TAKS tested subject, so you will need to make at least an 80 and have good attendance in the class in order to exempt.

Now, regarding what we did in class today –

We listened to Time by Pink Floyd and answered the ten questions in LMS about it. The first three questions will require a quote, but the last few don’t. Don’t stress. You can answer the questions in order you desire – you can go backwards.

Make sure you use complete sentences and answer the questions fully and appropriately.

When you are done, work on your obituary!


Today, we approach the first major grade of English IVB: The Obituary.

There are instructions in LMS, but I want to stress a few things – this is NOT about how you die, this is about how you LIVED your life. I’m going to look and see if your obituary exemplifies the concept of carpe diem. So don’t just focus on what you did in your life in high school – you haven’t been able to live your life to the fullest yet.

Also, I am requiring that you be old – at least 80. I don’t want to get the heebie jeebies this.

I have written my own, and it is up in LMS as an example for you to use as a model, but I’m going to be honest – the MOST helpful item that I used when writing my own obit was the Blog of Death. There are really fascinating obits in there that you can use as good models. Remember, modeling is where you use the sentence structure, not the ideas.

We will have a little time in class on Monday to finish this and it will be due on Tuesday, April 9th.

Also, most of your grades have been updated in Gradespeed. Keep up the great work!


Phew! I sure wish that there was ONE day when all of my students show up for school!

We started out today by answering some questions over Death and Devil Surprising Two Maidens in LMS.

After that, we worked on a foldable translating the source for Carpe Diem. It’s a PowerPoint in LMS called Tower Translation.

You will read the four sentences, and then translate each sentence in your own thought. Add some clip art.

Make sure you have a clip art! You may need to resize the font. Then cut thusly:

And then fold/glue.

And lastly, we download the Carpe Diem poems into OneNote.

Today, we read To The Virgins, To Make Much of Time. Make sure that you get the notes here:

Gradespeed is still down, so these are the following grades that are in the grade book (or, they WILL be):

  • Character Sheet – 10 pts
  • Creative Coloring – 20 pts
  • What You Heard – 10 pts
  • Adjectives – 20 pts
  • Post-It Note – 10 points
  • Pre-Writing – 20 points
  • Death and the Devil – 20 pts
  • Carpe Diem Tower – 20 pts

IV – 11/5/2012

Riley forced us to listen to Time by Pink Floyd. It’s a LONG song – it’s not the radio edited version. There is a reason for this – make sure you listen to all of it, even the parts that seem meaningless. There is a meaning for all ot, and it all relates to CARPE DIEM.

When you answer the questions, make sure you answer them fully. Don’t just skim through them and rush throughthe questions. Historically, people who do that don’t score well on the test. Don’t skip a question – that automatically kills your grade.

You can listen to the song as many times as you want when you take the test and use the lyrics to help you answer the test. You can use whatever you need (OneNote, song, lyrics) on the test.

IV – 11/2/2012

Today, Riley creeped us all out by playing Marvin Gaye’s “Let Get It On”. There is a Discussion Board in LMS with questions for you to answer. Make sure you answer all of them – just hit Post New Reply.

We then read “To His Coy Mistress” – get the annotations from someone else in class who write them all down.

We also read “To the Virgins, to Make Much of Time” – get the annotations from someone else in class who write them all down.

We finished the day by doing the syllogisim – there are instructions for that in LMS. I’ll give you a hint: Sentence #1 starts with IF… Sentence #2 starts with BUT, and sentence #3 starts with THEREFORE.

Make sure that you keep the paper product and you drop off the digital file.